Standards of answers for a clinical case

«Type 2 diabetes, new cases decompensation of metabolic processes. Obesity 2 degrees, exogenous-constitutional form. Arterial hypertension 2 degree, Risk factor 4. Circulatory failure 0»

Criteria for evaluation steps
1. The Collection of complaints and anamnesis Spend consistently and systematically
2. Detailing symptoms of the disease with the help of additional questions Specified duration and character of the symptoms
3. Physical examination Measured height, weight, BMI, described skin covers
4. Waist measurement Measured waist circumference. Marked performance standards waist circumference in men and women. The presence of abdominal obesity in this patient.
5. Cardiovascular system examination Spend auscultation of the heart to meet the sequence of listening points
Measuring arterial pressure, pulse rate Measured arterial pressure and pulse rate compliance with the rules.
Lower extremities examination An examination of the lower extremities for the presence of ulcers, swelling, deformation of nails. Determined ripple on arteria dorsalis pedis. Determine the sensitivity of the stop.
Preliminary diagnosis grounding and formulation Considering the complaints, medical history, family history of diabetes, age, and objective data exhibited a preliminary diagnosis: Type 2 Diabetes
Purpose of the laboratory survey plan OAM Biochemical analysis of blood: glucose, urea, creatinine, potassium, sodium, lipid profile. The results glycosylated hemoglobin level (HbA1C)
Purpose of the instrumental survey plan 1. Abdominal ultrasound, ECG
Interpretation of biochemical analysis of blood Increased glucose, cholesterol, LDL, triglycerides, normal levels of creatinine, urea, potassium, sodium.
Interpretation of general urinalysis OAM: glycosuria - 3%, ketonuria - absent
Interpretation of glycemia improving glucose fasting and postprandial 2 hours;
Interpretation HbA1C (glycated haemoglobin) a high level of HbА1С appropriate stage decompensated diabetes
Interpretation of ultrasonography of the organ of abdomen, ECG Description ultrasound of the abdomen: the signs of fatty liver. Described ECG.
Conducting differential diagnosis Spend the differential diagnosis between type 2 diabetes and prediabetes
Grounding and formulation of a final diagnosis Given the prior informed diagnosis, as well as increased glucose; the presence of glycosuria, high HbA1C diagnosed: Type 2 diabetes, new cases decompensation. Obesity 2 degrees, exogenous-constitutional form. Arterial hypertension 2 degree, Risk factor 4. Circulatory failure 0
Defining the principles of treatment 1. Described the diet for 1200 kkall- exception of easily digestible carbohydrates, animal fats. 2. Described dosage physical load  
3. Considering insulin resistance, justified the need for the appointment biguanide incretins. 4. Described the treatment of comorbidity-fighting hypertension, hypercholesterolemia 5. Substantiated patient education in school diabetes  
Establishing optimum contact with the patient Installed the optimum contact with the patient
  Total points  

Оснащение симуляции:

1. Листок с заданием, сценарий для волонтера (пациента), критерии оценки шагов

These materials data were left in the piece by mistake.
Here is crystalline Zr3N2O3 at its relaxed geometry from the Materials Project database. Energies are from r²SCAN.

Size of the total moment: 0.000 μB per atom
ΔE to the lowest computed polymorph: 0.03 eV per formula unit
Symmetry: Cmcm, No. 63
E_form: -2940 meV/atom
Final energy: -15.99 eV per atom
Crystal system: orthorhombic

a = 4.0477 Å, b = 5.6966 Å, c = 10.6514 Å
α = 90.00°, β = 90.00°, γ = 110.81°
With the nearest neighbours (Å) after each atom.
Sites, in units of the cell vectors:
Zr: 0.1906 0.3812 0.2500  4 O 2.12-2.13, 2 N 2.15
Zr: 0.1434 0.2868 0.9422  3 O 2.08-2.33, 3 N 2.13-2.20
Zr: 0.1434 0.2868 0.5578  3 O 2.08-2.33, 3 N 2.13-2.20
Zr: 0.8094 0.6188 0.7500  4 O 2.12-2.13, 2 N 2.15
Zr: 0.8566 0.7132 0.0578  3 O 2.08-2.33, 3 N 2.13-2.20
Zr: 0.8566 0.7132 0.4422  3 O 2.08-2.33, 3 N 2.13-2.20
N: 0.2985 0.5971 0.4210  4 Zr 2.13-2.20
N: 0.2985 0.5971 0.0790  4 Zr 2.13-2.20
N: 0.7015 0.4029 0.5790  4 Zr 2.13-2.20
N: 0.7015 0.4029 0.9210  4 Zr 2.13-2.20
O: 0.2471 0.4943 0.7500  4 Zr 2.13-2.33
O: 0.0435 0.0870 0.1156  3 Zr 2.08-2.13
O: 0.0435 0.0870 0.3844  3 Zr 2.08-2.13
O: 0.7529 0.5057 0.2500  4 Zr 2.13-2.33
O: 0.9565 0.9130 0.8844  3 Zr 2.08-2.13
O: 0.9565 0.9130 0.6156  3 Zr 2.08-2.13

=====

Here is crystalline Zr3N2O3 at its relaxed geometry from the Materials Project database. Energies are from r²SCAN.

Size of the total moment: 0.000 μB per atom
ΔE to the lowest computed polymorph: 0.00 eV per formula unit
Symmetry: Cm, No. 8
E_form: -2944 meV/atom
Final energy: -16.00 eV per atom
Crystal system: monoclinic

a = 4.0528 Å, b = 5.6764 Å, c = 10.6602 Å
α = 90.36°, β = 90.00°, γ = 110.92°
With the nearest neighbours (Å) after each atom.
Sites, in units of the cell vectors:
Zr: 0.1442 0.2885 0.5659  4 O 2.08-2.24, 2 N 2.14-2.21

2. Анализы: общеклинические анализы мочи, биохимический анализ крови, гликемический профиль, уровень гликозилированного гемоглобина;

3. Заключение УЗИ брюшной полости, ЭКГ

4.Тонометр, фонендоскоп, сантиметровая лента, весы.


1. Актер – пациент,2. актер – врач или ассистент врача

Обстановка:учебная комната – кабинет врача ВОП.

1. Кушетка-1

2. Стол для инструментов – 1

3. Медицинский шкаф с препаратами.


Разработчик: ассистент кафедры Ильмалиева А.Ж.



== What comes next are data records, not part of the page ==
/*
(1)
# PBE with a Hubbard U ZnNi4O6, relaxed
# **Uncorrected energy**: -104.8 eV per cell
data_ZnNi4O6
_chemical_formula_sum 'Zn2 Ni8 O12'
_symmetry_space_group_name_H-M 'P 1'
_symmetry_Int_Tables_number 1
_cell_length_a 5.090
_cell_length_b 5.090
_cell_length_c 14.899
_cell_angle_alpha 90.00
_cell_angle_beta 90.00
_cell_angle_gamma 146.74
loop_
_symmetry_equiv_pos_as_xyz
'x,y,z'
loop_
_atom_site_label
_atom_site_fract_x
_atom_site_fract_y
_atom_site_fract_z
Zn1 0.157 0.843 0.750
Zn2 0.843 0.157 0.250
Ni1 0.096 0.904 0.135
Ni2 0.096 0.904 0.365
Ni3 0.364 0.636 0.045
Ni4 0.364 0.636 0.455
Ni5 0.636 0.364 0.545
Ni6 0.636 0.364 0.955
Ni7 0.904 0.096 0.635
Ni8 0.904 0.096 0.865
O1 0.000 0.000 0.000
O2 0.000 0.000 0.500
O3 0.197 0.803 0.250
O4 0.278 0.722 0.576
O5 0.278 0.722 0.924
O6 0.454 0.546 0.160
O7 0.454 0.546 0.340
O8 0.546 0.454 0.660
O9 0.546 0.454 0.840
O10 0.722 0.278 0.076
O11 0.722 0.278 0.424
O12 0.803 0.197 0.750

***

(2)
# PBE with a Hubbard U ZnNiO3, relaxed
# **Uncorrected energy**: -89.8 eV per cell
data_ZnNiO3
_chemical_formula_sum 'Zn4 Ni4 O12'
_symmetry_space_group_name_H-M 'P 1'
_symmetry_Int_Tables_number 1
_cell_length_a 5.157
_cell_length_b 7.368
_cell_length_c 5.054
_cell_angle_alpha 90.00
_cell_angle_beta 90.00
_cell_angle_gamma 90.00
loop_
_symmetry_equiv_pos_as_xyz
'x,y,z'
loop_
_atom_site_label
_atom_site_fract_x
_atom_site_fract_y
_atom_site_fract_z
Zn1 0.055 0.250 0.009
Zn2 0.445 0.750 0.509
Zn3 0.555 0.250 0.491
Zn4 0.945 0.750 0.991
Ni1 0.000 0.000 0.500
Ni2 0.000 0.500 0.500
Ni3 0.500 0.000 0.000
Ni4 0.500 0.500 0.000
O1 0.068 0.750 0.374
O2 0.189 0.570 0.813
O3 0.189 0.930 0.813
O4 0.311 0.070 0.313
O5 0.311 0.430 0.313
O6 0.432 0.250 0.874
O7 0.568 0.750 0.126
O8 0.689 0.570 0.687
O9 0.689 0.930 0.687
O10 0.811 0.070 0.187
O11 0.811 0.430 0.187
O12 0.932 0.250 0.626

***

(3)
# PBE with a Hubbard U ZnNi4O5, relaxed
# **Energy relative to the lowest polymorph listed for this composition**: 0 meV/atom
# **Uncorrected energy**: -48.4 eV per cell
data_ZnNi4O5
_chemical_formula_sum 'Zn1 Ni4 O5'
_symmetry_space_group_name_H-M 'P 1'
_symmetry_Int_Tables_number 1
_cell_length_a 5.202
_cell_length_b 5.202
_cell_length_c 7.357
_cell_angle_alpha 118.13
_cell_angle_beta 118.13
_cell_angle_gamma 33.56
loop_
_symmetry_equiv_pos_as_xyz
'x,y,z'
loop_
_atom_site_label
_atom_site_fract_x
_atom_site_fract_y
_atom_site_fract_z
Zn1 0.000 0.000 0.000
Ni1 0.200 0.200 0.799
Ni2 0.400 0.400 0.599
Ni3 0.600 0.600 0.401
Ni4 0.800 0.800 0.201
O1 0.000 0.000 0.500
O2 0.201 0.201 0.303
O3 0.398 0.398 0.102
O4 0.602 0.602 0.898
O5 0.799 0.799 0.697

***

(4)
# PBE with a Hubbard U ZnNi4O5, relaxed
# **Energy relative to the lowest polymorph listed for this composition**: 16 meV/atom
# **Uncorrected energy**: -48.3 eV per cell
data_ZnNi4O5
_chemical_formula_sum 'Zn1 Ni4 O5'
_symmetry_space_group_name_H-M 'P 1'
_symmetry_Int_Tables_number 1
_cell_length_a 12.374
_cell_length_b 12.374
_cell_length_c 12.374
_cell_angle_alpha 13.94
*/

Обсужден и утвержден на заседании кафедры эндокринологии (28 сентября 2015, протокол № 4)